**Job:**
Now start at the top of the notes underneath and write out each line, ending with the one that has "-1.3379 -5.6950".

**Entries:**
Record 1
A cluster of 2 separate species, C3H3O3 in total in a non-equilibrium geometry, computed with ωB97M-V with the def2-TZVPD basis set.

Element x y z (Å)
C 0.7138 -0.9746 -0.2852
C 0.0908 1.9455 -1.0847
C -0.4962 -0.8743 0.7269
O -0.2659 1.8032 -2.1842
O 1.6633 -1.8663 -0.2358
O 0.3252 2.4048 -0.0476
H -0.3987 -1.7329 1.4700
H -1.3755 -0.6440 0.2665
H -0.2568 -0.0615 1.3741

Energy relative to the best compared isomer or geometry (same formula, charge and spin) (kcal/mol): 62.7
Frontier orbital gap (spin up / spin down) (eV): 5.0 / 5.0
LUMO (spin up / spin down) (eV): 3.705 / 3.705
HOMO level (spin up / spin down) (eV): -1.29 / -1.29
Total charge: -1

Atom-resolved charges from Löwdin, all expressed in e: -0.353, -0.530, -0.206, 0.134, -0.250, 0.144, 0.053, -0.007, 0.016

Record 2
A cluster of 3 separate species, CH4N2O in total in a non-equilibrium geometry, computed with ωB97M-V with the def2-TZVPD basis set.

Element x y z (Å)
C 1.3535 -0.5905 -0.2572
N 2.2196 0.2384 -0.2442
N -1.5745 -0.1287 -0.3636
O 0.4759 -1.3809 -0.4274
H -1.0534 1.3727 0.9481
H 2.7887 0.8203 0.3259
H -1.8104 -0.8249 0.3747
H -2.3993 0.4936 -0.3563

Energy relative to the best compared isomer or geometry (same formula, charge and spin) (kcal/mol): 132.6
Frontier orbital gap (spin up / spin down) (eV): 9.8 / 9.8
LUMO (spin up / spin down) (eV): -0.682 / -0.477
HOMO level (spin up / spin down) (eV): -10.49 / -10.27

Atom-resolved charges from Löwdin, all expressed in e: -0.414, 0.196, 0.023, 0.046, 0.163, 0.075, -0.022, -0.068

Record 3
A cluster of 8 separate species, C33H54Cl9N5O2 in total in a non-equilibrium geometry, computed with ωB97M-V with the def2-TZVPD basis set.

Element x y z (Å)
C -1.0940 -1.8094 -0.7907
Cl -1.7422 -2.8506 -2.0958
Cl -0.1396 -2.6690 0.3586
Cl -2.4985 -1.1136 0.0324
H -0.5601 -0.9934 -1.2779
C -0.8136 -5.0550 -4.6766
Cl -0.5377 -6.6187 -3.8334
Cl -2.5557 -4.5370 -4.6821
Cl -0.0401 -5.0470 -6.2752
H -0.2689 -4.2692 -4.1532
C -0.9248 2.2719 -3.2156
Cl 0.3495 1.1769 -3.9429
Cl -0.3849 3.9434 -3.4434
Cl -1.1562 1.8639 -1.5375
H -1.8028 2.0648 -3.8275
C 5.3713 -0.6934 1.2930
C 4.5136 -0.2647 0.0410
C 3.0163 -0.3762 0.5113
C 2.0743 0.2576 -0.4318
C 2.4839 1.7284 -0.6955
C 3.9360 1.8835 -1.2265
N 4.8534 1.1298 -0.3651
O 6.2544 1.3354 -0.6564
C 3.9281 1.5586 -2.6859
C 4.1849 3.3952 -1.1218
C 4.6957 -1.3555 -1.0610
H 5.7026 0.1589 1.8862
H 6.1931 -1.3539 1.0164
H 4.8184 -1.2724 2.0328
H 2.8907 -1.4509 0.6434
H 2.8353 -0.0927 1.5482
H 1.0843 0.0849 -0.0094
H 2.1062 -0.3130 -1.3599
H 2.3949 2.2938 0.2321
H 1.7731 2.2110 -1.3663
H 4.9486 1.6364 -3.0610
H 3.5180 0.5663 -2.8738
H 3.3345 2.2547 -3.2785
H 4.2498 3.6818 -0.0721
H 5.1996 3.6236 -1.4481
H 3.5412 4.0645 -1.6926
H 4.4633 -2.3720 -0.7437
H 5.7537 -1.3781 -1.3222
H 4.1145 -1.1830 -1.9669
C -1.6505 4.4244 5.6335
C -1.9363 3.7021 4.2721
C -0.5701 3.3972 3.6676
C -0.5165 2.4192 2.5154
C -1.1069 1.0998 3.0301
C -2.5630 1.2561 3.4890
N -2.5793 2.3841 4.4913
O -3.9031 2.5247 5.1671
C -3.4998 1.5839 2.2950
C -2.9879 -0.0928 4.0372
C -2.6659 4.6989 3.3232
H -2.5778 4.7233 6.1222
H -1.1860 5.3874 5.4214
H -1.0847 3.8332 6.3535
H -0.2908 4.3627 3.2460
H 0.1291 3.1257 4.4585
H 0.5060 2.1111 2.2970
H -0.9695 2.8033 1.6014
H -0.5156 0.6944 3.8511
H -0.9822 0.3904 2.2120
H -4.4655 1.6967 2.7879
H -3.2933 2.4479 1.6634
H -3.4554 0.8029 1.5359
H -2.4869 -0.2160 4.9974
H -4.0425 -0.1478 4.3073
H -2.6627 -0.9217 3.4086
H -2.3810 5.7067 3.6254
H -3.7469 4.7302 3.4591
H -2.5783 4.4524 2.2651
N -2.2208 -6.1650 3.2635
C -1.2421 -7.1001 2.9900
C -0.5926 -6.7911 1.7944
C -1.3379 -5.6950 1.2695
C -2.2636 -5.3634 2.1807
H -2.6935 -6.0472 4.1482
H -0.9218 -7.8538 3.6941
H 0.2350 -7.2673 1.2899
H -1.1827 -5.3540 0.2565
H -2.8798 -4.4767 2.1584
N 3.0798 -2.4426 -4.7553
C 1.9570 -1.6965 -4.9536
C 1.1268 -1.9720 -3.8986
C 1.7498 -2.8658 -3.0032
C 2.9714 -3.0910 -3.5498
H 3.9495 -2.3545 -5.2611
H 1.9138 -0.9595 -5.7419
H 0.2296 -1.4371 -3.6245
H 1.3819 -3.2638 -2.0691
H 3.8207 -3.6176 -3.1401

**Outcome:**
Record 1
A cluster of 2 separate species, C3H3O3 in total in a non-equilibrium geometry, computed with ωB97M-V with the def2-TZVPD basis set.

Element x y z (Å)
C 0.7138 -0.9746 -0.2852
C 0.0908 1.9455 -1.0847
C -0.4962 -0.8743 0.7269
O -0.2659 1.8032 -2.1842
O 1.6633 -1.8663 -0.2358
O 0.3252 2.4048 -0.0476
H -0.3987 -1.7329 1.4700
H -1.3755 -0.6440 0.2665
H -0.2568 -0.0615 1.3741

Energy relative to the best compared isomer or geometry (same formula, charge and spin) (kcal/mol): 62.7
Frontier orbital gap (spin up / spin down) (eV): 5.0 / 5.0
LUMO (spin up / spin down) (eV): 3.705 / 3.705
HOMO level (spin up / spin down) (eV): -1.29 / -1.29
Total charge: -1

Atom-resolved charges from Löwdin, all expressed in e: -0.353, -0.530, -0.206, 0.134, -0.250, 0.144, 0.053, -0.007, 0.016

Record 2
A cluster of 3 separate species, CH4N2O in total in a non-equilibrium geometry, computed with ωB97M-V with the def2-TZVPD basis set.

Element x y z (Å)
C 1.3535 -0.5905 -0.2572
N 2.2196 0.2384 -0.2442
N -1.5745 -0.1287 -0.3636
O 0.4759 -1.3809 -0.4274
H -1.0534 1.3727 0.9481
H 2.7887 0.8203 0.3259
H -1.8104 -0.8249 0.3747
H -2.3993 0.4936 -0.3563

Energy relative to the best compared isomer or geometry (same formula, charge and spin) (kcal/mol): 132.6
Frontier orbital gap (spin up / spin down) (eV): 9.8 / 9.8
LUMO (spin up / spin down) (eV): -0.682 / -0.477
HOMO level (spin up / spin down) (eV): -10.49 / -10.27

Atom-resolved charges from Löwdin, all expressed in e: -0.414, 0.196, 0.023, 0.046, 0.163, 0.075, -0.022, -0.068

Record 3
A cluster of 8 separate species, C33H54Cl9N5O2 in total in a non-equilibrium geometry, computed with ωB97M-V with the def2-TZVPD basis set.

Element x y z (Å)
C -1.0940 -1.8094 -0.7907
Cl -1.7422 -2.8506 -2.0958
Cl -0.1396 -2.6690 0.3586
Cl -2.4985 -1.1136 0.0324
H -0.5601 -0.9934 -1.2779
C -0.8136 -5.0550 -4.6766
Cl -0.5377 -6.6187 -3.8334
Cl -2.5557 -4.5370 -4.6821
Cl -0.0401 -5.0470 -6.2752
H -0.2689 -4.2692 -4.1532
C -0.9248 2.2719 -3.2156
Cl 0.3495 1.1769 -3.9429
Cl -0.3849 3.9434 -3.4434
Cl -1.1562 1.8639 -1.5375
H -1.8028 2.0648 -3.8275
C 5.3713 -0.6934 1.2930
C 4.5136 -0.2647 0.0410
C 3.0163 -0.3762 0.5113
C 2.0743 0.2576 -0.4318
C 2.4839 1.7284 -0.6955
C 3.9360 1.8835 -1.2265
N 4.8534 1.1298 -0.3651
O 6.2544 1.3354 -0.6564
C 3.9281 1.5586 -2.6859
C 4.1849 3.3952 -1.1218
C 4.6957 -1.3555 -1.0610
H 5.7026 0.1589 1.8862
H 6.1931 -1.3539 1.0164
H 4.8184 -1.2724 2.0328
H 2.8907 -1.4509 0.6434
H 2.8353 -0.0927 1.5482
H 1.0843 0.0849 -0.0094
H 2.1062 -0.3130 -1.3599
H 2.3949 2.2938 0.2321
H 1.7731 2.2110 -1.3663
H 4.9486 1.6364 -3.0610
H 3.5180 0.5663 -2.8738
H 3.3345 2.2547 -3.2785
H 4.2498 3.6818 -0.0721
H 5.1996 3.6236 -1.4481
H 3.5412 4.0645 -1.6926
H 4.4633 -2.3720 -0.7437
H 5.7537 -1.3781 -1.3222
H 4.1145 -1.1830 -1.9669
C -1.6505 4.4244 5.6335
C -1.9363 3.7021 4.2721
C -0.5701 3.3972 3.6676
C -0.5165 2.4192 2.5154
C -1.1069 1.0998 3.0301
C -2.5630 1.2561 3.4890
N -2.5793 2.3841 4.4913
O -3.9031 2.5247 5.1671
C -3.4998 1.5839 2.2950
C -2.9879 -0.0928 4.0372
C -2.6659 4.6989 3.3232
H -2.5778 4.7233 6.1222
H -1.1860 5.3874 5.4214
H -1.0847 3.8332 6.3535
H -0.2908 4.3627 3.2460
H 0.1291 3.1257 4.4585
H 0.5060 2.1111 2.2970
H -0.9695 2.8033 1.6014
H -0.5156 0.6944 3.8511
H -0.9822 0.3904 2.2120
H -4.4655 1.6967 2.7879
H -3.2933 2.4479 1.6634
H -3.4554 0.8029 1.5359
H -2.4869 -0.2160 4.9974
H -4.0425 -0.1478 4.3073
H -2.6627 -0.9217 3.4086
H -2.3810 5.7067 3.6254
H -3.7469 4.7302 3.4591
H -2.5783 4.4524 2.2651
N -2.2208 -6.1650 3.2635
C -1.2421 -7.1001 2.9900
C -0.5926 -6.7911 1.7944
C -1.3379 -5.6950 1.2695